After years, I've finally gone back and beat this jerk. Not surprising that after 150+ hours of fusing and grinding, he was a pushover. #smt #strangejourney #superboss
#smt #strangejourney #superboss
Going live again with more Majin Tensei. I've finally reached the second half of the game!
#twitch #streaming #megaten #smt
EduSAT: A pedagogical tool for theory and applications of boolean satisfiability. ~ Yiqi Zhao, Ziyan An, Meiyi Ma, Taylor Johnson. #Logic #SAT_Solver #SMT
I'm back with more Majin Tensei today! There's a big looming tower ahead of me. Can I make it to the underworld?
#twitch #streaming #smt #megaten
I’d just like to interject for a moment. What you’re refering to as Persona, is in fact, SMT/Persona, or as I’ve recently taken to calling it, SMT plus Persona. Persona is not a video game franchise unto itself, but rather another expensive spin-off of a fully fleshed-out SMT setting made coherent by the SMT lore, demons and magic system comprising a full video game franchise as defined by Atlus.
#smt #shinmegamitensei #persona
I'm streaming, and it's Majin Tensei again! Hey, I actually remembered to announce it this time!
#twitch #streaming #smt #megaten
Pixel Pump, the Open Source Vacuum Pickup Tool is Now Shipping - The Pixel Pump is an open source manual pick & place assist tool by [Robin Rei... - #desktopmanufacturing #crowdfunding #pickandplace #vacuumpickup #toolhacks #pixelpump #assembly #smd #smt
#smt #smd #assembly #pixelpump #toolhacks #vacuumpickup #pickandplace #crowdfunding #desktopmanufacturing
A DPLL(T) framework for verifying deep neural networks. ~ Hai Duong, Linhan Li, ThanhVu Nguyen, Matthew Dwyer. #NeuralNetwork #SMT #SAT
I'm back to streaming Majin Tensei, the SMT tactics game that came before Devil Survivor! (Actually I forgot to announce it last time, sorry! :blobcatNotLikeThis: )
#twitch #streaming #megaten #smt
An interactive SMT tactic in Coq using abductive reasoning. ~ Haniel Barbosa, Chantal Keller, Andrew Reynolds, Arjun Viswanathan, Cesare Tinelli, Clark Barrett. #ITP #Coq #SMT
-- Misplaced records of crystals --
~~~
Entry 1:
Entry from Materials Project: an optimized crystal structure of MnBe2Pt (r2SCAN).

Calculated values
**Total magnetic moment**: 3.53 μB per cell
**VASP energy**: -19.3242 eV per atom
**SG**: Fm-3m (225)

Geometry as POSCAR:
```
MnBe2Pt
1.0
-0.871 -3.560 1.535
-3.464 -1.744 -0.867
-0.077 -3.208 -2.343
Be Pt Mn
2 1 1
Direct
0.500 0.500 0.500
0.000 0.000 0.000
0.750 0.750 0.750
0.250 0.250 0.250
```

Entry 2:
Entry from Materials Project: an optimized crystal structure of Sm4Au2O9 (r2SCAN).

Calculated values
**Total magnetic moment**: 0.00 μB per cell
**VASP energy**: -20.9156 eV per atom
**SG**: Pbcn (60)

Geometry as POSCAR:
```
Sm4Au2O9
1.0
6.038 0.000 0.000
0.000 11.848 0.000
0.000 0.000 11.860
O Au Sm
36 8 16
Direct
0.886 0.076 0.411
0.061 0.163 0.149
0.524 0.000 0.750
0.873 0.697 0.158
0.438 0.885 0.946
0.627 0.197 0.842
0.373 0.197 0.342
0.439 0.337 0.649
0.938 0.385 0.554
0.062 0.615 0.446
0.114 0.076 0.911
0.976 0.500 0.250
0.373 0.803 0.158
0.614 0.424 0.911
0.386 0.424 0.411
0.127 0.303 0.842
0.127 0.697 0.658
0.438 0.115 0.554
0.024 0.500 0.750
0.938 0.615 0.946
0.873 0.303 0.342
0.939 0.837 0.851
0.562 0.885 0.446
0.561 0.337 0.149
0.886 0.924 0.089
0.114 0.924 0.589
0.439 0.663 0.851
0.061 0.837 0.351
0.614 0.576 0.589
0.562 0.115 0.054
0.386 0.576 0.089
0.561 0.663 0.351
0.939 0.163 0.649
0.627 0.803 0.658
0.062 0.385 0.054
0.476 0.000 0.250
0.919 0.228 0.489
0.081 0.228 0.989
0.081 0.772 0.511
0.581 0.272 0.989
0.419 0.272 0.489
0.419 0.728 0.011
0.581 0.728 0.511
0.919 0.772 0.011
0.803 0.659 0.764
0.303 0.841 0.764
0.242 0.488 0.910
0.758 0.512 0.090
0.258 0.988 0.090
0.697 0.159 0.236
0.197 0.659 0.264
0.197 0.341 0.236
0.742 0.988 0.590
0.258 0.012 0.410
0.242 0.512 0.590
0.758 0.488 0.410
0.697 0.841 0.264
0.742 0.012 0.910
0.803 0.341 0.736
0.303 0.159 0.736
```

Entry 3:
Entry from Materials Project: an optimized crystal structure of Zr5AlSb3 (r2SCAN).

Calculated values
**Total magnetic moment**: 0.00 μB per cell
**VASP energy**: -22.7558 eV per atom
**SG**: P6_3/mcm (193)

Geometry as POSCAR:
```
Zr5AlSb3
1.0
-8.451 1.666 -1.207
2.988 -1.771 7.975
0.994 5.686 0.890
Sb Zr Al
6 10 2
Direct
0.387 0.387 0.750
0.000 0.613 0.750
0.387 0.000 0.250
0.613 0.000 0.750
0.613 0.613 0.250
0.000 0.387 0.250
0.271 0.000 0.750
0.000 0.271 0.750
0.667 0.333 0.000
0.667 0.333 0.500
0.000 0.729 0.250
0.333 0.667 0.000
0.729 0.729 0.750
0.729 0.000 0.250
0.271 0.271 0.250
0.333 0.667 0.500
0.000 0.000 0.500
0.000 0.000 0.000
```

Entry 4:
Entry from Materials Project: an optimized crystal structure of Ca3Pd2 (r2SCAN).

Calculated values
**Total magnetic moment**: 0.00 μB per cell
**VASP energy**: -14.0221 eV per atom
**SG**: R-3 (148)

Geometry as POSCAR:
```
Ca3Pd2
1.0
-0.284 -2.956 7.043
6.970 -2.546 1.833
3.195 4.980 4.839
Ca Pd
9 6
Direct
0.796 0.796 0.796
0.204 0.204 0.204
0.605 0.332 0.843
0.668 0.157 0.395
0.395 0.668 0.157
0.332 0.843 0.605
0.157 0.395 0.668
0.000 0.000 0.000
0.843 0.605 0.332
0.043 0.846 0.413
~~~
Propositional model counting (#SAT) can be solved efficiently when the input formula is in deterministic decomposable negation normal form (d-DNNF). Translating an arbitrary formula into a representation that allows inference tasks, such as counting, to be performed efficiently, is called knowledge compilation. Top-down knowledge compilation is a state-of-the-art technique for solving #SAT problems that leverages the traces of exhaustive DPLL search to obtain d-DNNF representations. While knowledge compilation is well studied for propositional approaches, knowledge compilation for the (quantifier free) counting modulo theory setting (#SMT) has been studied to a much lesser degree. In this paper, we discuss compilation strategies for #SMT. We specifically advocate for a top-down compiler based on the traces of exhaustive DPLL(T) search.
I released my Nahobino Plush avatar (based on the Stubbins Plush in the Atlus store) and its obtainable in my Velvet Chill Room map. You can view a video showing the avatar here with the World ID in the description.
#smtv #smt #nahobino #shinmegamitensei #avatars #vrc #vrchat #vrchatavatar #arjvrc
#smtv #smt #nahobino #shinmegamitensei #avatars #vrc #vrchat #vrchatavatar #arjvrc
Anyone using Kick? I'm streaming on Kick four days a week, playing Dark Souls, Shin Megami Tensei III, Monster Hunter Rise, and Resident Evil 7 #kickstreamer #kickstreaming #mhr #monsterhunter #smt
#kickstreamer #kickstreaming #mhr #monsterhunter #smt
### Crystal structures from another source follow
<<<
## one
Density functional theory data (PBE+U) for SrCa7Ti2Mn6O24 after structural relaxation.

Cell: 7.6956 7.6573 7.6573 Å, 89.97 90.00 90.00°
Closest atoms and distances in Å follow each position.
Fractional positions:
Sr  0.2500  0.2528  0.2528  12 O 2.71-2.76
Ca  0.2500  0.2534  0.7468  12 O 2.67-2.74
Ca  0.2500  0.7468  0.2534  12 O 2.67-2.74
Ca  0.2500  0.7465  0.7465  12 O 2.64-2.73
Ca  0.7500  0.2534  0.2534  12 O 2.67-2.75
Ca  0.7500  0.2534  0.7465  12 O 2.67-2.74
Ca  0.7500  0.7465  0.2534  12 O 2.67-2.74
Ca  0.7500  0.7466  0.7466  12 O 2.67-2.74
Ti  0.9992  0.9991  0.9991  6 O 1.92-1.95
Ti  0.5008  0.9991  0.9991  6 O 1.92-1.95
Mn  0.9994  0.9994  0.5004  6 O 1.88-1.93
Mn  0.9994  0.5004  0.9994  6 O 1.88-1.93
Mn  0.9994  0.5005  0.5005  6 O 1.91-1.93
Mn  0.5006  0.9994  0.5004  6 O 1.88-1.93
Mn  0.5006  0.5004  0.9994  6 O 1.88-1.93
Mn  0.5006  0.5005  0.5005  6 O 1.91-1.93
O  0.9979  0.9980  0.2537  1 Mn 1.89, 1 Ti 1.95
O  0.9996  0.9995  0.7462  1 Mn 1.88, 1 Ti 1.94
O  0.9972  0.5027  0.2501  2 Mn 1.92
O  0.9997  0.5003  0.7498  2 Mn 1.91
O  0.5021  0.9980  0.2537  1 Mn 1.89, 1 Ti 1.95
O  0.5004  0.9995  0.7462  1 Mn 1.88, 1 Ti 1.94
O  0.5028  0.5027  0.2501  2 Mn 1.92
O  0.5003  0.5003  0.7498  2 Mn 1.91
O  0.2500  0.9983  0.9983  2 Ti 1.93
O  0.2500  0.9972  0.5030  2 Mn 1.93
O  0.2500  0.5030  0.9972  2 Mn 1.93
O  0.2500  0.5028  0.5028  2 Mn 1.93
O  0.7500  0.9995  0.9995  2 Ti 1.92
O  0.7500  0.9997  0.5001  2 Mn 1.92
O  0.7500  0.5001  0.9997  2 Mn 1.92
O  0.7500  0.5003  0.5003  2 Mn 1.92
O  0.9979  0.2537  0.9980  1 Mn 1.89, 1 Ti 1.95
O  0.9972  0.2501  0.5027  2 Mn 1.92
O  0.9996  0.7462  0.9995  1 Mn 1.88, 1 Ti 1.94
O  0.9997  0.7498  0.5003  2 Mn 1.91
O  0.5021  0.2537  0.9980  1 Mn 1.89, 1 Ti 1.95
O  0.5028  0.2501  0.5027  2 Mn 1.92
O  0.5004  0.7462  0.9995  1 Mn 1.88, 1 Ti 1.94
O  0.5003  0.7498  0.5003  2 Mn 1.91

Output
Total magnetization, μB/f.u.: 18.29

## two
Density functional theory data (PBE+U) for SrCa7Ti2Mn6O24 after structural relaxation.

Cell: 10.8789 15.2492 10.7452 Å, 90.01 90.01 89.99°
Closest atoms and distances in Å follow each position.
Fractional positions:
Sr  0.0114  0.1246  0.4983  8 O 2.45-2.71
Sr  0.4859  0.3766  0.0024  6 O 2.41-2.65
Sr  0.2352  0.3775  0.2471  8 O 2.43-2.69
Sr  0.2681  0.1244  0.2533  8 O 2.48-2.67
Ca  0.0173  0.1246  0.9956  8 O 2.38-2.66
Ca  0.0231  0.6252  0.4965  6 O 2.32-2.58
Ca  0.0230  0.6252  0.9968  7 O 2.32-2.60
Ca  0.5236  0.1247  0.4955  6 O 2.33-2.59
Ca  0.5245  0.1249  0.9953  6 O 2.34-2.58
Ca  0.5233  0.6253  0.4952  6 O 2.33-2.58
Ca  0.5230  0.6252  0.9957  6 O 2.34-2.58
Ca  0.4803  0.3766  0.5055  5 O 2.33-2.59
Ca  0.4792  0.8735  0.0051  6 O 2.33-2.58
Ca  0.4795  0.8733  0.5048  6 O 2.33-2.61
Ca  0.9769  0.3771  0.0043  7 O 2.36-2.63
Ca  0.9760  0.3770  0.5043  7 O 2.36-2.64
Ca  0.9762  0.8728  0.0044  7 O 2.35-2.63
Ca  0.9767  0.8730  0.5038  7 O 2.35-2.63
Ca  0.2286  0.3779  0.7444  6 O 2.34-2.58
Ca  0.2290  0.8721  0.2460  5 O 2.33-2.56
>>>
### Here the article continues
SMT3 Nocturne HD
Inserted here: data records
[1]
First-principles (PBE+U) data for an optimized crystal structure of Li2FeP4O12, as listed in Materials Project.

Computed properties:
The total DFT energy (no corrections) comes out at -0.50720 Ry/atom. The calculation puts the volume at 10.80 A^3/atom. The space group is P4/nbm, No. 125. The calculation puts the calculated formation energy at -2.542 eV/atom.

Structure (CIF):
```
data_Li2FeP4O12
_chemical_formula_sum 'Li4 Fe2 P8 O24'
_cell_length_a 9.3755
_cell_length_b 9.3755
_cell_length_c 4.6695
_cell_angle_alpha 90.00
_cell_angle_beta 90.00
_cell_angle_gamma 90.00
_space_group_name_H-M_alt 'P 1'
_space_group_IT_number 1
_space_group_name_Hall 'P 1'
loop_
_atom_site_label
_atom_site_fract_x
_atom_site_fract_y
_atom_site_fract_z
Li1 0.2500 0.2500 0.5000
Li2 0.7500 0.2500 0.5000
Li3 0.7500 0.7500 0.5000
Li4 0.2500 0.7500 0.5000
Fe1 0.5000 0.5000 0.5000
Fe2 0.0000 0.0000 0.5000
P1 0.0000 0.2759 0.0000
P2 0.7759 0.5000 0.0000
P3 0.2241 0.5000 0.0000
P4 0.0000 0.7241 0.0000
P5 0.5000 0.7759 0.0000
P6 0.2759 0.0000 0.0000
P7 0.7241 0.0000 0.0000
P8 0.5000 0.2241 0.0000
O1 0.5701 0.2997 0.2456
O2 0.4299 0.2997 0.7544
O3 0.1155 0.3845 0.8550
O4 0.8845 0.3845 0.1450
O5 0.2997 0.4299 0.2456
O6 0.7003 0.4299 0.7544
O7 0.7003 0.5701 0.2456
O8 0.2997 0.5701 0.7544
O9 0.1155 0.6155 0.1450
O10 0.8845 0.6155 0.8550
O11 0.4299 0.7003 0.2456
O12 0.5701 0.7003 0.7544
O13 0.9299 0.7997 0.2456
O14 0.0701 0.7997 0.7544
O15 0.3845 0.8845 0.8550
O16 0.6155 0.8845 0.1450
O17 0.2003 0.9299 0.2456
O18 0.7997 0.9299 0.7544
O19 0.7997 0.0701 0.2456
O20 0.2003 0.0701 0.7544
O21 0.3845 0.1155 0.1450
O22 0.6155 0.1155 0.8550
O23 0.9299 0.2003 0.7544
O24 0.0701 0.2003 0.2456
```



[2]
First-principles (PBE+U) data for an optimized crystal structure of Li9Mn2Co5O16, as listed in Materials Project.

Computed properties:
The total DFT energy (no corrections) comes out at -0.42621 Ry/atom. The calculation puts the volume at 9.05 A^3/atom. The space group is Pm, No. 6. The calculation puts the calculated formation energy at -1.808 eV/atom.

Structure (CIF):
```
data_Li9Mn2Co5O16
_chemical_formula_sum 'Li9 Mn2 Co5 O16'
_cell_length_a 2.8926
_cell_length_b 9.8769
_cell_length_c 10.2709
_cell_angle_alpha 80.83
_cell_angle_beta 90.00
_cell_angle_gamma 90.00
_space_group_name_H-M_alt 'P 1'
_space_group_IT_number 1
_space_group_name_Hall 'P 1'
loop_
_atom_site_label
_atom_site_fract_x
_atom_site_fract_y
_atom_site_fract_z
Li1 0.5000 0.2439 0.8762
Li2 0.5000 0.7678 0.6135
Li3 0.5000 0.2354 0.3849
Li4 0.0000 0.2410 0.6189
Li5 0.0000 0.7577 0.3766
Li6 0.0000 0.2420 0.1311
Li7 0.5000 0.7519 0.1236
Li8 0.0000 0.7596 0.8738
Li9 0.0000 0.0009 0.4998
Mn1 0.0000 0.0000 0.0002
Mn2 0.0000 0.5000 0.7517
Co1 0.0000 0.4981 0.2470
Co2 0.5000 0.4969 0.4975
Co3 0.5000 0.9932 0.2719
Co4 0.5000 0.5045 0.0023
Co5 0.5000 0.0065 0.7285
O1 0.5000 0.1109 0.0562
O2 0.5000 0.6103 0.8053
O3 0.5000 0.1223 0.5749
O4 0.0000 0.1077 0.8246
O5 0.0000 0.6076 0.5719
O6 0.0000 0.1195 0.3050
O7 0.5000 0.6048 0.3093
Let's keep going
#Twitch #Streaming #ps2 #smt #nintendoswitch
Atlus is sharing cosplay guides for various iconic characters, starting with the Demifiend from #shinmegamitensei3
All I can think of is when Kaneko said he was inspired by the Red Hot Chili Peppers when designing the character, in this interview
#smt #smt3 #shinmegamitensei #atlus #demifiend #gaming
#shinmegamitensei3 #smt #smt3 #shinmegamitensei #atlus #demifiend #gaming